Showing posts with label Mariana Morais. Show all posts
Showing posts with label Mariana Morais. Show all posts

Wednesday, August 5, 2015

From the Connection Rio Hostel to the PRVT Brothel

Records of crystals from another source follow:
=====
<A>
# In2CoAg

A relaxed structure of In2CoAg (PBE, the Alexandria database).

- Magnetic moment: 0.0 Bohr magnetons per cell

Structure (CIF):
```
data_In2CoAg
_cell_length_a 3.986
_cell_length_b 3.986
_cell_length_c 9.010
_cell_angle_alpha 90.00
_cell_angle_beta 90.00
_cell_angle_gamma 90.00
_symmetry_space_group_name_H-M 'I -4 m 2'
_symmetry_Int_Tables_number 119
_symmetry_space_group_name_Hall 'I -4 -2'
loop_
_atom_site_label
_atom_site_type_symbol
_atom_site_fract_x
_atom_site_fract_y
_atom_site_fract_z
In1 In 0.000 0.000 0.000
In2 In 0.000 0.500 0.250
Co1 Co 0.000 0.000 0.500
Ag1 Ag 0.000 0.500 0.750
```


<B>
# In2CoAg

A relaxed structure of In2CoAg (PBE, the Alexandria database).

- Magnetic moment: 0.0 Bohr magnetons per cell

Structure (CIF):
```
data_In2CoAg
_cell_length_a 12.783
_cell_length_b 2.949
_cell_length_c 4.339
_cell_angle_alpha 90.00
_cell_angle_beta 109.77
_cell_angle_gamma 90.00
_symmetry_space_group_name_H-M 'C 1 m 1'
_symmetry_Int_Tables_number 8
loop_
_symmetry_equiv_pos_as_xyz
'x,y,z'
'x,-y,z'
'x+1/2,y+1/2,z'
'x+1/2,-y+1/2,z'
loop_
_atom_site_label
_atom_site_type_symbol
_atom_site_fract_x
_atom_site_fract_y
_atom_site_fract_z
In1 In 0.000 0.000 0.000
In2 In 0.205 0.000 0.705
Co1 Co 0.185 0.500 0.184
Ag1 Ag 0.380 0.000 0.380
```


The most stable of them is <B>.


<A>
# In2CoAg

A relaxed structure of In2CoAg (PBE, the Alexandria database).

- Magnetic moment: 1.9 Bohr magnetons per cell

Structure (CIF):
```
data_In2CoAg
_cell_length_a 3.1279
_cell_length_b 3.1279
_cell_length_c 26.4042
_cell_angle_alpha 90.00
_cell_angle_beta 90.00
_cell_angle_gamma 120.00
_symmetry_space_group_name_H-M 'R -3 m'
_symmetry_Int_Tables_number 166
_symmetry_space_group_name_Hall '-R 3 2"'
loop_
_atom_site_label
_atom_site_type_symbol
_atom_site_fract_x
_atom_site_fract_y
_atom_site_fract_z
In1 In 0.0000 0.0000 0.2406
Co1 Co 0.0000 0.0000 0.5000
Ag1 Ag 0.0000 0.0000 0.0000
```


<B>
# In2CoAg

A relaxed structure of In2CoAg (PBE, the Alexandria database).

- Magnetic moment: 2.1 Bohr magnetons per cell

Structure (CIF):
```
data_In2CoAg
_cell_length_a 9.095
_cell_length_b 3.139
_cell_length_c 5.426
_cell_angle_alpha 90.00
_cell_angle_beta 104.62
_cell_angle_gamma 90.00
_symmetry_space_group_name_H-M 'C 1 2/m 1'
_symmetry_Int_Tables_number 12
loop_
_symmetry_equiv_pos_as_xyz
'x,y,z'
'-x,-y,-z'
'-x,y,-z'
'x,-y,z'
'x+1/2,y+1/2,z'
'-x+1/2,-y+1/2,-z'
'-x+1/2,y+1/2,-z'
'x+1/2,-y+1/2,z'
loop_
_atom_site_label
_atom_site_type_symbol
_atom_site_fract_x
_atom_site_fract_y
_atom_site_fract_z
In1 In 0.235 0.000 0.229
Co1 Co 0.000 0.500 0.000
Ag1 Ag 0.000 0.000 0.500
```


The most stable of them is <A>.


<A>
# InCo3Ag

A relaxed structure of InCo3Ag (PBE, the Alexandria database).

- Magnetic moment: 5.5 Bohr magnetons per cell

Structure (CIF):
```
data_InCo3Ag
_cell_length_a 4.656
_cell_length_b 4.656
_cell_length_c 4.656
_cell_angle_alpha 90.00
_cell_angle_beta 90.00
_cell_angle_gamma 90.00
_symmetry_space_group_name_H-M 'P m -3 m'
=====

Ok so its not a brothel, but Ludas (gladiator training school) just didn’t have that poetic ring to it so yeah….

Almost two years ago I arrived in Rio, with no Portuguese or Jiu Jitsu skills and no clue what I was lay ahead of me. Now, I’m in Curitiba, about to start a new stage, which will hopefully lead me home… with a nice MMA record and even more hopefully, signed to Invicta FC. Either way, I’ll actually be fighting for a change, which was not happening while I was training at Nova Uniao.

Day 1 in Curitiba.
I woke up to the sounds of voices rattling off numbers. I opened my eyes, taking in the gleaming white canvas of the boxing ring that was parallel with my mattress. Well, actually, I have no idea whose mattress it was, but it served its purpose.

Sleeping ringside

I reached out and touched the canvas, an act of reverence or maybe just a way to ground myself amidst the tumult of continuous sacrifice and uncertainty. The numbers and voices slowly began to form intelligible sequences. Weight. That’s right. I rolled out of bed (literally), stumbled to my feet and peeled off the majority of my clothes. I mumbled a good morning, in what I believe to be Portuguese and ambled off to the back of the gym in search of a scale.

One of the many uncertain variables in my life was an MMA fight, supposedly some two weeks away. I had been told weeks ago while I was still in Rio trying to get my life condensed into 2 suitcases and ready to move that I should come ready to fight at 52K (115lb). When cutting weight, its important to weigh yourself in the morning before eating or drinking anything. This is your true weight and from there you know how much you can eat, how much to work, and how much rest you can enjoy on any given day. My actual weight class is 105 lbs, I haven’t fought at 115 since losing to UFC Strawweight Tecia Torres at IKF some 3 years ago.

Once I checked my weight I scurried back to my bed in search of my clothes. Curitiba is too damn cold. In the favelas of Rio it is not uncommon to find me running around in sports bra and shorts. Its too damn hot in Rio to be constantly washing sweaty shirts, especially when you are constantly climbing up and down stairs. I can take a punch to the face, but I can’t deal with the cold to save my life.

I arrived in Curitba on a weekend so I had a few days to hang out around the gym before getting in any training on Monday. Since my last visit to Curitiba the gym had expanding and acquired two new inhabitants. Mariana Morais, from Invicta FC, and Istela Nunes, a bad ass Muay Thai fighter with 45-3 record, who had just returned from Thailand. There was now an extra room in the back from these two and what would become a separate apartment for Priscila Souza. Priscila, a native of Rio, has been fighting for PRVT for two years now and after her upcoming fights this summer will be bringing her two daughters to live with her at the gym. Mestre Parana, has apparently been scouring Brazil in search of top female talents and recruiting them to the team. That is, after all, how I ended up living here in Curitiba in the middle of nowhere.

[Misplaced crystal structures]
____________
# 1
Nd12Ni5Bi | Alexandria via LeMat-Bulk | GGA-PBE | relaxed; DOS(E_F) = 18.86 states/eV/f.u.; DFT total energy = -5.285 eV per atom; E_form = -285 meV per atom
1.0
8.063 0.013 -3.200
-4.139 7.205 -2.493
-0.121 -0.013 8.674
Nd Ni Bi
12 5 1
Cartesian
0.704 5.900 2.363
3.099 1.304 0.618
6.262 1.304 2.798
-2.459 5.900 0.183
2.710 4.902 -0.692
1.093 2.303 3.673
-0.439 4.889 5.896
4.242 2.316 -2.915
3.911 4.387 2.825
-0.108 2.818 0.156
-2.658 7.123 3.856
6.461 0.082 -0.876
2.471 4.545 -3.585
1.453 2.673 -2.108
3.452 0.877 3.491
0.351 6.328 -0.510
0.000 0.000 0.000
-2.130 3.596 3.091

# 2
Tl2AgSbO6 | Alexandria via LeMat-Bulk | GGA-PBE | relaxed; E_form (uncorrected) = -78.7 kJ per mole of atoms; DOS(E_F) = 5.48 states/eV/f.u.; DFT total energy = -4.961 eV per atom
1.0
-3.177 -4.807 -0.073
-0.115 -3.446 4.616
-5.047 -0.170 3.343
Tl Ag Sb O
2 1 1 6
Cartesian
-3.771 -4.471 3.759
-4.831 -0.310 3.243
-5.783 -6.626 5.695
-1.222 -2.669 1.572
-3.013 -3.588 1.816
-2.028 -4.482 5.205
-4.298 -6.634 3.341
-5.211 -4.394 5.731
-6.096 -3.957 3.206
-4.401 -2.191 4.373

# 3
Pr2Y4C | Alexandria via LeMat-Bulk | GGA-PBE | relaxed; DOS(E_F) = 7.21 states/eV/f.u.; polymorph energy (0 for the lowest one) = 0 meV per atom; DFT total energy = -6.496 eV per atom; E_form = -119 meV per atom
1.0
-1.671 -2.270 -2.286
-0.428 -3.490 0.898
-16.663 2.031 7.283
Pr Y C
2 4 1
Cartesian
-4.895 -0.882 1.573
-13.867 -2.847 4.323
-9.951 0.370 4.026
-8.811 -4.098 1.869
-16.181 -0.181 6.247
-2.580 -3.548 -0.352
0.000 0.000 0.000

# 4
Tl4InW | Alexandria via LeMat-Bulk | GGA-PBE | relaxed; DOS(E_F) = 2.96 states/eV/f.u.; DFT total energy = -3.148 eV per atom; E_form = 1045 meV per atom
1.0
-0.105 -3.637 5.102
-2.530 2.137 5.320
-5.430 -2.359 2.055
Tl In W
4 1 1
Cartesian
-3.080 -3.261 7.226
-5.733 -2.624 5.709
-4.289 -0.385 7.335
-3.028 -1.449 4.685
0.000 0.000 0.000
-6.049 -2.895 9.358

# 5
AgHRhPb2 | Alexandria via LeMat-Bulk | GGA-PBE | relaxed; DOS(E_F) = 2.71 states/eV/f.u.; polymorph energy (0 for the lowest one) = 58 meV per atom; DFT total energy = -4.040 eV per atom
1.0
5.439 0.000 0.000
0.000 5.439 0.000
0.000 0.000 3.412
Pb H Rh Ag
2 1 1 1
Cartesian
0.000 2.719 0.000
2.719 0.000 0.000
0.000 0.000 1.706
0.000 0.000 0.000
2.719 2.719 1.706

# 6
VFe2SiSb | Alexandria via LeMat-Bulk | GGA-PBE | relaxed; E_form (uncorrected) = 112.7 kJ per mole of atoms; DOS(E_F) = 6.30 states/eV/f.u.; DFT total energy = -5.949 eV per atom
1.0
-0.462 -0.086 4.369
2.136 -4.547 0.137
3.951 1.870 0.454
Sb Si Fe V
1 1 2 1
Cartesian
1.068 -2.273 0.068
2.812 -1.381 2.480
1.975 0.935 0.227
-0.231 -0.043 2.185
0.000 0.000 0.000

# 7
Mg4HgRh | Alexandria via LeMat-Bulk | GGA-PBE | relaxed; DOS(E_F) = 2.25 states/eV/f.u.; polymorph energy (0 for the lowest one) = 87 meV per atom; DFT total energy = -2.537 eV per atom; E_form = -199 meV per atom
1.0
-1.390 2.684 3.300
-4.141 -1.648 -0.405
1.471 -4.815 4.535
Mg Hg Rh
4 1 1
Cartesian
-4.416 -1.638 2.514
-3.772 -3.754 4.505
-1.006 -4.271 3.057
-1.650 -2.156 1.067
____________

I will take this time to note that I don’t actually live IN Curitiba. I live in the desolate, deserted, dreary metropolitan area of Curitiba, or Sao Jose da Pinhais. There is a whole lot of nothing here, and I’m dependent on other people to get from place to place, which sucks. BUT, I’m here for the promise of fights not to have a good time. Sacrifice, sacrifice, sacrifice.

My stay at the gym was short lived, as they don’t have a stove, and I was spending mad skrilla eating in the street. So, Monday after training, I packed my limited things and went to the house that Parana rents for the fighters so that I could use the stove and wash my clothes. (Due to a major incident at the airport and subsequent breakdown, I only have half the luggage I was traveling with… and not the half that contained my boxing gloves, tennis shoes, or UNDERWEAR! God do I want my underwear!). 

Skip through a few days, some normal training, me getting my head shoved into fences, and thrown on the ground, blah blah this that and now on to:

Day 5 in Curitiba
Its now Wednesday and my bags are still packed and shoved into random nooks and crannies in an incredibly overcrowded room that I’m sharing with two guys. There are two single beds and a potent smelling queen sized mattress that gets throw down in the middle at night, claiming every last inch of floor space that remains. Thankfully, I used to live at Connection Rio, in a house with give or take 25 male fighters and one other Nicole. I had to share a room with 5 other guys plus a multitude of damp kimonos, so cramming into a room with only two other people is kind of luxurious for me.

I'm counting on this kid not speaking English and therefore, 
never clicking the link and knowing I took this picture...
and then made it public!

My fight that was scheduled for the 16th of August fell through. Apparently the girl and the money weren’t right, so nothing was finalized. Parana, however, wastes no time and is already looking for another fight. In the mean time, Mariana Morais who is signed with Invicta FC will be... or has signed the contract for her first fight. I'm not sure if it's been announced, so more on Mari's fight camp in a future post. Until then check out some of me playing with a camera! 

My new crib... big switch up from the favelas of Rio

Istela with a vicious head kick... 
I choked her out yesterday so I'm definitely going to be watching out for this baby flying at my head!